Science of the Soul
Our Essence and True Identity
Our Essence and True Identity
"From the heart of God to the heart of man is no distance at all". Anonymous
Each of us has experienced moments of heartfelt kindness,
of courageous daring, of steady strength, of deep inner peace. These are
fleeting experiences of our soul; our deepest essence, our highest self - who
we truly are.
When we experience an expanded sense of oneness with all life, when we forgive someone who has harmed us, when we inspire others with clear insight, when we courageously do what is right - but not popular - these are expressions of our soul. For the soul embodies not just loving compassion, but also purposeful will and wise intelligence. Balanced love, light and will are the signatures of the soul. The soul is essentially energy, and to study the soul is to study the science of energy. In the Ageless Wisdom of East and West - which is often called the ‘golden thread’ which connects the inner teachings of the world’s religions - there is a science of soul development, with detailed theories and techniques for integrating the soul with the personality. We are essentially spiritual beings having a human experience, rather than the other way round. Although we might initially say that we ‘have’ a soul, it is actually more accurate to say that we ARE a soul who ‘has’ a personality, and this self-centred personality (ego) is our instrument of expression in the world. Until our personality is more purified and invokes the soul’s help, it tries to run the show and often creates a mess. |
Although some popular modern writers primarily see the soul as our deep unconscious, or as some fragile thing that our personalities need to care for or we’ll lose, the truth is actually quite the opposite: it is our soul which cares for our personality - if it is invited.
The soul is referred to in the Christian tradition as ‘the Christ within; the inner divinity’ in each person. The realm of the soul is called ‘the kingdom of God’. In ancient Greece, the temple of the Oracle at Delphi proclaimed, “Man, know thyself and thou wilt know the universe and the gods.” As we know our soul, the microcosm, so we will understand the macrocosm. We know that the human body is the endpoint of the evolution of physical forms. But evolution doesn’t end with the perfection of forms. Consciousness continues to evolve. Soul expression is essentially the next evolutionary step in consciousness for humanity. The soul is closer than our heartbeat, and today modern science is beginning to prove the existence of the soul and its survival after the death of the body. |
The Link between Spirit and Matter
According to the Ageless Wisdom, the soul is essentially the connecting link or relationship between spirit and matter - between spirit and our human personality. The soul is the mediating or bridging principle of consciousness. It is the force of attraction that holds all forms together so that the life of God may express through them.
The soul is technically a unit of light coloured by a particular ray vibration. The soul is anchored in two places in the body: what’s called the ‘consciousness thread’ is anchored in the top of the head, and the ‘life thread’ is anchored in the heart. We can sense the presence of the soul most easily in our hearts or at the top of our heads. In the soul’s experience, all of life is connected in a seamless web. The soul reveals that we are not separate from each other or from all life, whether visible or invisible. |
To experience the soul is to experience a deep sense of Oneness with all that is - a profound sense of inspiration and joy.
The soul is essentially the observer or witness, the higher part of us that watches our personality life with detachment. The soul, working with the Law of Karma, or cause and effect, draws to us experiences and lessons for our spiritual growth as we are ready for them. A crisis such as an illness or accident may be a calling card from our soul, suggesting we need to do some deep reflection on our life, our purpose and where we are heading. |
Qualities of the Soul
The soul expresses ‘the good, the beautiful and the true’. The only difference between a saint or master and the rest of us is that a saint or master expresses his or her soul all the time, while most of us express our soul only occasionally.
## Here the text breaks off for quantum chemistry results
'''
Molecular formula: C4H12S2
Method: DFT, the ωB97M-V functional and the def2-TZVPD basis

Computed properties:
**Kohn-Sham gap**: 9.450 eV
**ΔE to the lowest compared entry with this formula, charge and spin**: 135.7 kJ/mol
**Highest occupied orbital energy**: -8.55 eV
**SMILES**: CSC.CSC

Geometry as ORCA input:
```
! wB97M-V def2-TZVPD RIJCOSX def2/J DEFGRID3
* xyz 0 1
S 2.42305 0.28348 -1.43973
S -1.32302 -0.05572 1.99842
C -2.87986 -0.20568 0.93716
C -0.40526 0.96044 0.82994
C 0.69574 -0.10044 -1.93488
C 2.61030 -0.66651 0.12688
H -2.74648 -0.86194 0.06072
H 0.59521 -1.19326 -1.82425
H 0.45256 0.17165 -2.97577
H -0.24386 0.53359 -0.17423
H 3.28733 -0.00045 0.68778
H 1.66145 -0.75266 0.68265
H -3.65065 -0.64567 1.59207
H 3.07284 -1.66583 0.06343
H -3.23449 0.77891 0.58871
H -0.85786 1.96013 0.71868
H -0.03037 0.38931 -1.26441
H 0.57330 1.07060 1.32683
*
```



Molecular formula: C30H58N4OSSbSi4TeZr
Method: DFT, the ωB97M-V functional and the def2-TZVPD basis

Computed properties:
**Kohn-Sham gap (spin up / spin down)**: 5.448 / 5.447 eV
**Highest occupied orbital energy (spin up / spin down)**: -15.04 / -15.04 eV

Geometry as ORCA input:
```
! wB97M-V def2-TZVPD RIJCOSX def2/J DEFGRID3
* xyz 3 1
Te 1.10414 0.10847 -1.28917
Sb -1.05377 -5.03193 -0.97660
Zr -0.05829 -2.18053 -0.32096
S -2.55544 -0.26290 0.97741
Si 4.03438 2.44136 -2.74568
Si -0.00550 3.63237 -2.79013
Si 1.84738 2.48413 -1.81003
Si 2.07525 3.24270 0.43712
O -1.67926 -1.67719 0.41877
N 1.27621 -2.43398 1.49780
N 2.21958 -1.40531 3.52539
N 1.39163 -3.75400 3.60090
N 3.46346 -3.20637 2.40091
C -5.17001 0.58144 0.51976
C -6.15841 0.62867 -1.72008
C -1.66774 -6.19015 -2.73011
C -1.33920 4.05917 -1.53907
C -3.14406 -4.64377 -0.28986
C -4.33522 -1.89125 2.33292
C 3.69774 2.82306 1.19832
C 0.67249 5.23403 -3.56932
C -6.25978 0.73210 -0.30521
C -0.70203 -3.26625 -2.51028
C 1.44193 -1.17478 2.30508
C 3.56231 -1.97332 3.19038
C -5.07929 -2.31990 3.45134
C -0.73898 2.56674 -4.15374
C 0.57647 2.84751 1.54603
C -4.92240 0.13283 -2.19181
C 2.71740 -4.21431 3.23591
C 4.17216 2.59860 -4.62600
C -4.80959 -1.74091 4.65948
C -3.08249 -0.34328 3.66984
C 4.81611 4.12647 -2.19735
C 1.59359 -2.45941 4.34578
C -3.28968 -0.96923 2.43258
C -3.84681 -0.17731 -1.39016
C -4.01850 -0.00240 -0.01690
C 5.15925 1.09381 -2.04927
C -3.83186 -0.73238 4.79179
C 2.64303 -2.88667 1.20377
C 2.02276 5.12919 0.33971
C 0.60818 -3.47397 2.35664
H 4.39297 3.67132 -4.92477
H 3.63638 3.26177 2.22165
H -5.22123 0.94217 1.55150
H 0.00787 2.38538 -4.96029
H 1.88431 -0.37835 1.65100
H 5.88349 3.97071 -2.13800
H -3.08656 -3.57157 -0.00415
H -7.02914 0.75531 -2.34918
H 0.07997 6.06695 -3.19777
H 1.73973 5.37661 -3.38774
H -2.85625 -0.51423 -1.77430
H 3.19215 -2.11550 0.69299
H -3.23278 -5.22033 0.62325
H -1.66211 3.17989 -0.94523
H -0.20136 3.57982 1.58270
H -7.26336 0.97665 0.14134
H 0.46736 -0.81255 2.62674
H -2.05232 -7.16432 -2.37645
H -5.76010 -3.15234 3.33174
H 3.86179 1.71054 1.22992
H 2.62657 -5.22056 2.79762
'''
## End of the quantum chemistry results
Being in soul consciousness is experiencing a sense of timelessness, of being in the eternal now. We feel expansive and liberated - the sense of pure being, without having to do anything to gain the approval of others. In soul consciousness, we often help and heal others just through the quality of being that we radiate - the quality of joy, grace and inner peace. Our soul is aware of the Divine Plan for humanity, and strives to contribute to that larger purpose. For example, our soul realizes that peace on earth is part of this Plan, so we find a way to resolve personal conflicts and conflicts in our family and local community and eventually among the community of nations. Since the Plan includes the full expression and self-realization of everyone on earth, we commit ourselves to helping others grow and develop spiritually. |
The soul is the source of the clearest and best guidance for our lives, and through meditation and prayer we can ask our soul for help in making important decisions.
The cause of all our restless searching is actually the soul within us, as it constantly pushes us towards spiritual growth. Once we’ve fulfilled a desire or achieved something, we are soon restless again, as the soul pushes us towards our next step in spiritual growth and development. |
The Limited Personality
When the personality is not illumined by the light of the soul, it can be very unhappy. The darkness of a self-centred personality often weaves such a smothering veil over our eyes that we see only the material world of physical forms. We constantly desire more and more of everything to fill that gnawing, empty space inside us.
Our ego-driven personality can be like a black hole, an insatiable black hole that obsessively consumes everything in its path to fill its emptiness. Our personality is always grasping - things, people, experiences. But fortunately we are more than this black hole—we are in essence the soul, the creator and generator of light and joy. The renewal of interest in the inner life of the soul is the necessary antidote to the toxic consumerist materialism that has poisoned so many people’s lives. |
**Here the entry breaks off for quantum chemistry results**
- - -
{"formula": "C96H219N13O20", "method": "ωB97M-V/def2-TZVPD", "species": ["C", "C", "C", "C", "C", "C", "N", "O", "C", "C", "C", "H", "H", "H", "H", "H", "H", "H", "H", "H", "H", "H", "H", "H", "H", "H", "H", "H", "H", "H", "C", "C", "C", "C", "C", "C", "N", "O", "C", "C", "C", "H", "H", "H", "H", "H", "H", "H", "H", "H", "H", "H", "H", "H", "H", "H", "H", "H", "H", "H", "C", "C", "C", "C", "C", "C", "N", "O", "C", "C", "C", "H", "H", "H", "H", "H", "H", "H", "H", "H", "H", "H", "H", "H", "H", "H", "H", "H", "H", "H", "C", "C", "C", "C", "C", "C", "N", "O", "C", "C", "C", "H", "H", "H", "H", "H", "H", "H", "H", "H", "H", "H", "H", "H", "H", "H", "H", "H", "H", "H", "C", "C", "C", "C", "C", "C", "N", "O", "C", "C", "C", "H", "H", "H", "H", "H", "H", "H", "H", "H", "H", "H", "H", "H", "H", "H", "H", "H", "H", "H", "C", "C", "C", "C", "C", "C", "N", "O", "C", "C", "C", "H", "H", "H", "H", "H", "H", "H", "H", "H", "H", "H", "H", "H", "H", "H", "H", "H", "H", "H", "C", "O", "C", "C", "N", "C", "C", "O", "C", "H", "H", "H", "H", "H", "H", "H", "H", "H", "H", "H", "H", "H", "H", "H", "C", "O", "C", "C", "N", "C", "C", "O", "C", "H", "H", "H", "H", "H", "H", "H", "H", "H", "H", "H", "H", "H", "H", "H", "C", "O", "C", "C", "N", "C", "C", "O", "C", "H", "H", "H", "H", "H", "H", "H", "H", "H", "H", "H", "H", "H", "H", "H", "C", "O", "C", "C", "N", "C", "C", "O", "C", "H", "H", "H", "H", "H", "H", "H", "H", "H", "H", "H", "H", "H", "H", "H", "C", "O", "C", "C", "N", "C", "C", "O", "C", "H", "H", "H", "H", "H", "H", "H", "H", "H", "H", "H", "H", "H", "H", "H", "C", "O", "C", "C", "N", "C", "C", "O", "C", "H", "H", "H", "H", "H", "H", "H", "H", "H", "H", "H", "H", "H", "H", "H", "C", "O", "C", "C", "N", "C", "C", "O", "C", "H", "H", "H", "H", "H", "H", "H", "H", "H", "H", "H", "H", "H", "H", "H"], "coordinates": [[-2.75692, -3.11613, 2.83044], [-2.03633, -3.47485, 4.16532], [-0.55628, -3.02114, 4.04937], [0.22494, -2.92358, 5.29505], [-0.46749, -2.03165, 6.37095], [-2.02439, -2.41012, 6.58327], [-2.64854, -2.52411, 5.19611], [-4.03059, -2.63264, 5.37555], [-2.21016, -3.67344, 7.51900], [-2.56782, -1.15562, 7.33537], [-2.27771, -4.98869, 4.51760], [-2.69672, -2.04697, 2.62702], [-3.78832, -3.46186, 2.89956], [-2.19884, -3.49824, 1.97567], [-0.03933, -3.69888, 3.37000], [-0.61817, -2.07582, 3.51028], [1.29620, -2.74156, 5.20908], [0.16016, -3.94849, 5.66034], [-0.28453, -1.01774, 6.01512], [0.15132, -2.09648, 7.26593], [-3.17127, -4.08629, 7.21250], [-1.48116, -4.45969, 7.32291], [-2.14205, -3.38688, 8.56845], [-2.02134, -1.09071, 8.27625], [-2.57412, -0.25634, 6.71945], [-3.59725, -1.22731, 7.68645], [-2.31258, -5.69981, 3.69225], [-3.21405, -4.99366, 5.07556], [-1.56804, -5.38074, 5.24614], [-4.19902, -2.01154, 4.66319], [5.38023, 5.50111, -1.79825], [6.83147, 5.36573, -2.21182], [7.61318, 4.34705, -1.24317], [7.32509, 2.83921, -1.66947], [7.86143, 2.62221, -3.09747], [7.13452, 3.53456, -4.11482], [7.16004, 4.95979, -3.64395], [6.56817, 5.84232, -4.53506], [8.01777, 3.54715, -5.48391], [5.61043, 3.11631, -4.29239], [7.49235, 6.75709, -2.03368], [4.67223, 5.29879, -2.60194], [5.17798, 6.46713, -1.33567], [5.15736, 4.64839, -1.15692], [8.66753, 4.58042, -1.39145], [7.36802, 4.47860, -0.18928], [6.25305, 2.64380, -1.64418], [7.79611, 2.07995, -1.04516], [7.67800, 1.60144, -3.43287], [8.92239, 2.87213, -3.10003], [7.41652, 3.65671, -6.38647], [8.90588, 4.15240, -5.30213], [8.29935, 2.49640, -5.55271], [5.10032, 2.83596, -3.37082], [5.13097, 3.99033, -4.73317], [5.57809, 2.26639, -4.97408], [7.59390, 7.02228, -0.98132], [6.73092, 7.51911, -2.19993], [8.43981, 6.99045, -2.51944], [7.36498, 6.35227, -4.69830], [6.23814, -1.02404, 5.92180], [5.92336, 0.39371, 6.19008], [7.01691, 1.28414, 5.69006], [7.13227, 1.43128, 4.10441], [5.75647, 1.87825, 3.48061], [4.47206, 1.14099, 4.11560], [4.59727, 0.77012, 5.55475], [3.51440, -0.00597, 6.12336], [3.42631, 2.27460, 4.05477], [4.22836, -0.19323, 3.28260], [5.91467, 0.64636, 7.73065], [6.28235, -1.13811, 4.83869], [5.49325, -1.68390, 6.36658], [7.15691, -1.34639, 6.41175], [6.80457, 2.28315, 6.07082], [7.96377, 1.01416, 6.15767], [7.37075, 0.42378, 3.76357], [7.92124, 2.11332, 3.78753], [5.75063, 1.68223, 2.40840], [5.74250, 2.95649, 3.63969], [2.38137, 2.00796, 4.21324], [3.63437, 3.13961, 4.68451], [3.42015, 2.52065, 2.99293], [5.07150, -0.80830, 2.96809], [3.49162, -0.83719, 3.76285], [3.79485, 0.04430, 2.31113], [5.73453, 1.70530, 7.91579], [6.92342, 0.56394, 8.13526], [5.25495, -0.06328, 8.22996], [2.92811, 0.62707, 6.54420], [4.41663, -4.60253, 1.03077], [4.20901, -6.06898, 1.50817], [2.85103, -6.11705, 2.41650], [1.54155, -6.20102, 1.63428], [1.56635, -7.30198, 0.51329], [2.83933, -7.28673, -0.33506], [4.04602, -7.12198, 0.50114], [5.26028, -7.26750, -0.16782], [2.84192, -8.73478, -1.05397], [2.67462, -6.25793, -1.45714], [5.25794, -6.48326, 2.49844], [3.46365, -4.20936, 0.67673], [5.06133, -4.50374, 0.15743], [4.66261, -3.97421, 1.88682], [2.86024, -7.08659, 2.91451], [2.69456, -5.37430, 3.19876], [1.26316, -5.21971, 1.25003], [0.72469, -6.30740, 2.34810], [0.68420, -7.33857, -0.12591], [1.57546, -8.24843, 1.05391], [3.24175, -9.45263, -0.33779], [1.80226, -8.89662, -1.33861], [3.39594, -8.75420, -1.99246], [2.10485, -6.72049, -2.26306], [2.10638, -5.38787, -1.12819], [3.59315, -5.95107, -1.95738], [6.23859, -6.33119, 2.04754], [5.08648, -7.52685, 2.76229], [5.12489, -5.92853, 3.42724], [5.66181, -7.72485, 0.57462], [-0.60524, 1.32120, 10.68221], [0.04126, 2.00457, 9.38372], [-1.22631, 2.35214, 8.62669], [-1.02110, 3.19333, 7.30420], [-0.24564, 4.37711, 7.76869], [1.15165, 4.03064, 8.46954], [0.87381, 3.15098, 9.64997], [1.82404, 3.02567, 10.58584], [2.11081, 3.50444, 7.27054], [1.73361, 5.41332, 9.12707], [0.86749, 0.84268, 8.65248], [-1.14596, 2.09581, 11.22599], [0.17779, 1.08984, 11.40432], [-1.29982, 0.52714, 10.40811], [-1.65071, 1.39909, 8.31099], [-1.79922, 3.01541, 9.27472], [-1.96832, 3.51351, 6.87021], [-0.60866, 2.73667, 6.40451], [-0.88111, 5.1129
- - -
**Back to the entry**
Until a personality has exhausted its obsession with running the show, the soul isn’t given the space to express itself. The personality can be very threatened by the soul, because the personality has controlled a person’s life for a long time and doesn’t want to give up control. There is always a stage in the process of spiritual development where a battle for control is waged between the soul and the personality. One minute a person may be expressing the altruism of their soul and the next minute retreat to a cynical self-centredness.
This battle goes back and forth until a person has clearly experienced the difference between personality separateness and soul unity, and is drawn to regular spiritual practices, such as meditation, study and service. The personality then co-operates with the soul and the two begin to work together. The personality eventually becomes soul-infused and the soul’s instrument of expression in the world. |
The Struggle between Personality and Soul
How can we tell the difference between when we’re in expanded soul consciousness and when we’re in a more limited personality consciousness? The first sign of the presence of the soul in a person is the spirit of service and the sense of responsibility for oneself and for others. A soul-infused person doesn’t play the victim, but rather works to change his or her consciousness to create better experiences and outcomes.
The ego-centred personality only thinks of itself and its own needs – ‘looking out for number one’. The soul is identified with others and is group conscious. When we are in soul consciousness, we experience our greatest joy in serving others. The soul is by nature group conscious and fundamentally concerned with what is occurring for the whole, not just for ourselves as individuals. In our deepest essence we are one with the whole. The outstanding characteristic of the soul is the urge to service. |
The personality feels separate; the soul experiences a sense of connection to everyone and everything and is identified with the whole. The personality is always taking, it’s primarily a consumer. The soul is a creator. The personality acquires; the soul shares.
The personality is obsessed with competing; the soul co-operates. The personality expresses self-will; the soul expresses God’s will. The personality is often aimless, obsessed with its latest desires. The soul has a clear sense of meaning and purpose. |
How to Invoke the Soul
Inner work and practice can help us build what’s called the Rainbow Bridge between our personality and soul. A regular practice of meditation can help us reflect on, and identify with, the qualities of the soul.
We can visualize the Master in the Heart - personified as the Presence of God within. We can also experience soul consciousness by honouring it in others; we all contain this Divine spark. We can communicate with our soul in a daily evening review, looking back over our thoughts and actions, beginning with the most recent hour and looking back until the beginning of the day. We can honestly examine our motives for doing something and work to purify them. In difficult relationships or situations, we can ask ourselves, “What is the lesson I am learning in this? What do I need to see more clearly? How can I develop more detachment from this? ” |
We can act as if we are already embodying the soul - acting will help it become a reality. We can practice harmlessness in thought, word and deed, as this simple awareness is a most powerful practice.
We can focus on thinking positively, as energy follows thought. Look for the good, the beautiful and the true in everything. Look into the essence of things, not just their outer form. In realizing that we are in essence the soul, the Divine light within, our purpose and work becomes clearer - to shine light into the world and to relieve suffering, darkness and ignorance. By radiating the light of love, illumination and purpose, we help create a new Heaven on Earth. |
Corinne McLaughlin, co-author of Spiritual Politics and co-founder of the Centre for Visionary Leadership